Friday 27 July 2012

Day 12! Breathe Jen ...Breathe

I woke up this morning from a rough night sleep. A friggen fly buzzed around my head for an hour, the kids frogs made noises in the aquarium outside and my daughter snores like crazy. We are at camp so we are all sleeping in a little space. I thought about blogging all night and a few other issues I'm dealing with...marriage and shit.
I woke up this morning with the goal to write a blog called 10 things I'm grateful for, when the phone rang.

## Attached: calculated crystals
## NbTcOs3 (PBE)

Data for NbTcOs3 after structural relaxation.

Values from the calculation:
Polymorph energy (0 for the lowest one): 0 meV/atom
Energy of formation from the pure elements: 15.07 kJ/mol of atoms
Space group: Cmcm

Cell and atoms, written as POSCAR:
```
NbTcOs3
1.0
-3.598 -1.921 -1.747
2.025 -4.964 1.288
-1.113 1.244 6.545
Os Tc Nb
6 2 2
direct
0.694 0.000 0.889
0.873 0.250 0.247
0.306 0.500 0.111
0.694 0.500 0.889
0.127 0.750 0.753
0.306 0.000 0.111
0.877 0.750 0.254
0.123 0.250 0.746
0.501 0.750 0.502
0.499 0.250 0.498
```


# 1
This record from Alexandria via LeMat-Bulk describes a relaxed ThIn2Br6 crystal. The functional is PBE.

Lattice parameters (Å, degrees): 7.839 8.362 11.371 90.00 96.58 90.00
Positions (direct):
Br: 0.798 0.680 0.955
Th: 0.500 0.500 0.000
In: 0.961 0.405 0.784
Br: 0.202 0.320 0.045
Br: 0.347 0.559 0.764
Br: 0.163 0.278 0.421
In: 0.461 0.095 0.284
Br: 0.837 0.722 0.579
Br: 0.663 0.222 0.921
Th: 0.000 0.000 0.500
Br: 0.153 0.059 0.736
In: 0.039 0.595 0.216
In: 0.539 0.905 0.716
Br: 0.298 0.820 0.455
Br: 0.847 0.941 0.264
Br: 0.702 0.180 0.545
Br: 0.653 0.441 0.236
Br: 0.337 0.778 0.079

Properties
Formation energy from raw total energies = -123.8 kJ per mole of atoms
Crystal system = monoclinic


# 2
This record from Alexandria via LeMat-Bulk describes a relaxed ThTlInBr6 crystal. The functional is PBE.

Lattice parameters (Å, degrees): 8.126 8.126 13.489 90.00 90.00 120.00
Positions (direct):
Br: 0.958 0.337 0.130
Br: 0.621 0.958 0.870
Th: 0.667 0.333 0.250
Br: 0.337 0.379 0.870
Tl: 0.000 0.000 0.000
Br: 0.042 0.663 0.870
Br: 0.337 0.958 0.630
Th: 0.333 0.667 0.750
Br: 0.663 0.621 0.130
Br: 0.958 0.621 0.370
Br: 0.379 0.042 0.130
Br: 0.042 0.379 0.630
In: 0.333 0.667 0.250
In: 0.667 0.333 0.750
Tl: 0.000 0.000 0.500
Br: 0.621 0.663 0.630
Br: 0.663 0.042 0.370
Br: 0.379 0.337 0.370

Properties
Formation energy from raw total energies = -128.0 kJ per mole of atoms
Crystal system = trigonal


no.,ρ (g cm⁻³)
1,4.221
2,4.437


1.
A geometry-optimized Pa2RuSe2N2 structure. Source: Alexandria, functional PBE.

a b c (Å): 3.881 3.881 11.508
angles (deg): 90.00 90.00 120.00
Sites, in units of the cell vectors:
N1 0.333 0.667 0.427
Se1 0.000 0.000 0.211
Pa1 0.667 0.333 0.374
Ru1 0.000 0.000 0.000
N2 0.667 0.333 0.573
Se2 0.000 0.000 0.789
Pa2 0.333 0.667 0.626

## Properties
Electronic total energy (eV per formula unit): -58.39
Space group: P-3m1 (164)

2.
A geometry-optimized CaGeP2O structure. Source: Alexandria, functional PBE.

a b c (Å): 5.301 5.301 4.154
angles (deg): 90.00 90.00 90.00
Sites, in units of the cell vectors:
Ge1 0.500 0.500 0.500
Ca1 0.000 0.000 0.000
P1 0.000 0.500 0.000
O1 0.000 0.000 0.500
P2 0.500 0.000 0.000

## Properties
Electronic total energy (eV per formula unit): -19.53
Energy relative to the lowest polymorph listed for this composition (eV/atom): 0.857
Space group: P4/mmm (123)

3.
A geometry-optimized TbTiInAg structure. Source: Alexandria, functional PBE.

Before I tell you who it was, let me give you a little history on my marriage. I was married for 10 years to a very negative, cocky man. It was his fault I drank so much for the last 10 years, so I thought. I saved money for the last 5 years of our marriage so I can leave him and buy a house for me and my kids. I was so hoping to move on with my life without that I wouldn't drink so much! We separated for two years, and let me tell you I was extremely happy! I still drank of course so I stopped blaming my husband and came to a realization that it wasn't all his fault that I wanted to drink the problems away. We just got back together in March of this year. I told him I would try one more time for my kids sakes. Our separation was so tough on them and I felt so guilty for breaking up the family. Needless to say, I haven't loved him in a very long time.
So here I a point in my an unhappy marriage, wild children that are rude and out of control and sober on day 12...struggling each damn day to stay that way. We've been fighting for the last few days, hence reasons I've been wanting to drink so bad. I don't want to deal with the bullshit.
After two years of seperation, you'd figure he'd make the changes necessary for a better marriage and to be a better person, but he hasn't. Now I'm trapped.

-- Inserted here: calculated crystals --
~~~
(1)
# Sm2DySb | Alexandria via LeMat-Bulk | PBE | relaxed
data_Sm2DySb
_chemical_formula_sum 'Sm6 Dy3 Sb3'
_space_group_name_H-M_alt 'R -3 m'
_space_group_IT_number 166
_space_group_name_Hall '-R 3 2"'
_cell_length_a 4.0470
_cell_length_b 4.0470
_cell_length_c 29.1148
_cell_angle_alpha 90.00
_cell_angle_beta 90.00
_cell_angle_gamma 120.00
loop_
_atom_site_label
_atom_site_type_symbol
_atom_site_fract_x
_atom_site_fract_y
_atom_site_fract_z
Sm1 Sm 0.0000 0.0000 0.2347
Dy1 Dy 0.0000 0.0000 0.0000
Sb1 Sb 0.0000 0.0000 0.5000
# Energy relative to the lowest polymorph listed for this composition in meV per atom: 236.8
# Uncorrected energy in eV per atom: -4.8432
# Uncorrected formation energy in eV/f.u.: -1.21
# Total moment in Bohr magnetons per cell: 3.2
# Crystal system: trigonal
# N(E_F) in states/eV/atom: 1.338

---

(2)
# Sm4DySb2 | Alexandria via LeMat-Bulk | PBE | relaxed
data_Sm4DySb2
_chemical_formula_sum 'Sm8 Dy2 Sb4'
_space_group_name_H-M_alt 'I 4/m m m'
_space_group_IT_number 139
_space_group_name_Hall '-I 4 2'
_cell_length_a 5.358
_cell_length_b 5.358
_cell_length_c 16.815
_cell_angle_alpha 90.00
_cell_angle_beta 90.00
_cell_angle_gamma 90.00
loop_
_atom_site_label
_atom_site_type_symbol
_atom_site_fract_x
_atom_site_fract_y
_atom_site_fract_z
Sm1 Sm 0.000 0.000 0.184
Sm2 Sm 0.000 0.500 0.000
Dy1 Dy 0.000 0.000 0.000
Sb1 Sb 0.000 0.000 0.367
# Uncorrected energy in eV per atom: -4.3905
# Uncorrected formation energy in eV/f.u.: 0.99
# Total moment in Bohr magnetons per cell: 0.0
# Crystal system: tetragonal
# N(E_F) in states/eV/atom: 0.969


Record 1
LiIn2Cu2 after structural relaxation. Source: Alexandria, functional PBE.

## Properties
- Energy of formation: -98 meV/atom
- Total moment: 0.00 μB/f.u.
- Energy relative to the lowest polymorph listed for this composition: 0.000 eV per formula unit
- Density of states at the Fermi level: 1.063 states/eV/f.u.

Unit cell a=4.4775 b=4.4775 c=5.2512 alpha=90.00 beta=90.00 gamma=120.00
Space group P-3m1 (No. 164)
Asymmetric unit:
Li 0.0000 0.0000 0.0000
In 0.3333 0.6667 0.3493
Cu 0.3333 0.6667 0.8587

=====

Record 2
Li2InCu after structural relaxation. Source: Alexandria, functional PBE.

## Properties
- Energy of formation: 28 meV/atom
- Total moment: 0.00 μB/f.u.
- Density of states at the Fermi level: 1.716 states/eV/f.u.

Unit cell a=3.0683 b=3.0683 c=26.0394 alpha=90.00 beta=90.00 gamma=120.00
Space group R3m (No. 160, hexagonal axes)
Asymmetric unit:
Li 0.0000 0.0000 0.0000
Li 0.0000 0.0000 0.1844
In 0.0000 0.0000 0.4260
Cu 0.0000 0.0000 0.5920

=====

Record 3
Li6InCu2 after structural relaxation. Source: Alexandria, functional PBE.

## Properties
- Energy of formation: -24 meV/atom
- Total moment: 0.00 μB/f.u.
- Energy relative to the lowest polymorph listed for this composition: 0.685 eV per formula unit
- Density of states at the Fermi level: 3.193 states/eV/f.u.

Unit cell a=4.5363 b=4.5363 c=26.8961 alpha=90.00 beta=90.00 gamma=120.00
Space group R-3m (No. 166, hexagonal axes)
~~~

The phone rings... It's the conveynor for the Soccer Association here in town. She asked my if I coached the game Monday night (I am the regular coach). I said no, my husband did. Why? She said that someone filed an incident report against the coach. She couldn't get into detail of course because there's going to be meetings to discuss this case etc...
If you all know me a little,I just about lost my marbles. The problem I have is I take on everyone else's problems and make them my own, then drink to forget about it all. I'm sitting here at camp, my hasband's at home ( the house I bought for me and my kids) and I can't discuss this with him because he's working till later on.

I know he's not my soulmate and there is someone else for me. This is just the icing on the cake. Being sober for almost two weeks has made me realize two things. I drink because of problem, no one else's and I'm happy with the sober me. I also learned so much more reading so many great blogs.

I'm going to hit this marriage or future divorce straight on. I'm going to take care of me. I'm going to stay sober so that I can face and feel it and experience all the emotions of the roller coaster ride I'm heading for.

I am grateful for 10 things in my life. I will create a new post for that and challenge all of you to create the same post!

Thanks for letting me vent to you all!
Have a great sober day!



  1. you may not realize it but there's a new Jen in town, and this is her first post! I'm not talking about the future of your marriage, but the strength and clarity you have now. you've moved into "i'm going to do this because i'm strong enough to do this." that's soooo great, you must feel really proud of yourself! [well i feel proud of you and i don't even really know you].
    i think getting sober will make a big change in your relationship (for better or for worse)... in ways you can't even imagine. maybe you're taking off the goggles and seeing things for how they are. or maybe you're feeling like "if i can change booze, i can change anything - let's move house and paint and take on the world."
    most important right now, you're "happy with the sober me." that sounds like numbers 1-10 on your list of things to be grateful for! cyberhugs.

  2. I agree with Belle, this is a different woman writing and this is after only 12 days. Well done Jen, feels like you are gaining strength and seeing things more clearly. Tough stuff ahead but so much better to face the shit than to hide in the booze. You are moving forward - which is the main thing. Well done. You are a star. Cleo xx

  3. Sounds Like you'll need your wits about you. Great time to be strong, determined and sober. Good luck! Paul.
